D o not use the product near stairs or landings.
E xercising safely requires ample room. When
exercising, keep at least 0.6 m clear around
you and the product (see Fig. I).
S tore the product in a dry safe place after use.
Do not leave the product unattended.
W arm up before you start training.
K eep to the specified sequences of movements
and do not overestimate your strength. Carry
out the exercises at a regular speed and while
breathing calmly.
Note: If you are a beginner, approx. 5–10
repetitions of around 10 seconds will be
Side stretch (see Fig. A):
S tand with your feet hip with apart. Rotate the
right foot 90° outward. Place the product to
the outside of your right foot.
L ean the upper body to the right and place
your right hand on the product.
E xtend your left arm upward. The two arms
form a line. Look forward.
H old this pose for a moment.
P erform three sets of 10–15 reps of this pose,
then switch sides.
Balancing stick (see Fig. B):
P lace the product on the floor in front of you.
B end forward and place your hands on the
E xtend your right leg back behind you. Be sure
to keep your leg straight and extended.
K eep your back straight, elbows facing out,
and the weight bearing leg slightly bent.
H old this pose for a moment.
P erform three sets of 10–15 reps of this pose,
then switch sides.
Bridge (see Fig. C):
L ie on a yoga mat, on your back, with the
10 GB/IE
product under your scram, arms next to your
B end your knees with the feet flat on the
Y our upper body and thighs form a line and
your feet are placed firmly on the floor.
H old this pose for a moment.
P erform three sets of 10–15 reps of this pose.
Half split (see Fig. D):
K neel on a yoga mat and place the products
next to you.
P lace your hands on the products and extend
your left leg in front of you.
L ower your pelvis toward the floor until you feel
a stretch in your Achilles tendon.
K eep your head in extension of your spine and
your shoulders down.
H old this pose for a moment.
P erform three sets of 10–15 reps of this pose,
then switch sides.
Hamstring stretch (see Fig. E):
S tand on a yoga mat in front of the product
with your legs spread.
L ean forward and place your hands next to the
R est your forehead on the product.
K eep your back straight, elbows outward,
knees slightly bent.
H old this pose for a moment.
Entry w
C5H10OS2 | ωB97M-V/def2-TZVPD

## Properties
- Highest occupied orbital energy: -8.91 eV
- Kohn-Sham gap: 9.16 eV

Structure (ORCA input):
```
! wB97M-V def2-TZVPD RIJCOSX def2/J DEFGRID3
* xyz 0 1
C 0.376 -1.894 -0.807
C 0.574 -0.504 -0.382
C -0.017 0.737 -1.148
C -0.678 0.361 0.180
C -0.615 1.194 1.338
H 0.072 -2.472 0.089
H 1.348 -2.326 -1.202
H -0.369 -1.973 -1.380
H 3.042 -0.880 -0.048
H -0.895 0.778 -1.933
H 1.321 1.976 -0.470
H -1.061 2.378 0.787
H 0.672 1.208 2.018
H -1.583 0.697 2.369
H -2.534 -0.630 1.396
O 0.701 1.961 -1.365
S 1.920 -0.251 0.652
S -2.274 -0.360 -0.093
*
```



Entry x
C5H10OS2 | ωB97M-V/def2-TZVPD

## Properties
- Highest occupied orbital energy: -9.07 eV
- Kohn-Sham gap: 9.85 eV

Structure (ORCA input):
```
! wB97M-V def2-TZVPD RIJCOSX def2/J DEFGRID3
* xyz 0 1
C -2.273 0.949 1.144
C -3.426 1.460 0.331
O -4.014 2.474 0.628
C -1.331 0.059 0.365
S -0.414 0.835 -1.036
S 1.471 0.700 -0.524
C 2.127 -0.933 -1.082
C 3.422 -1.209 -0.373
H -1.811 1.783 1.675
H -2.712 0.415 2.002
H -3.762 0.916 -0.571
H -1.921 -0.757 -0.064
H -0.572 -0.416 0.985
H 2.332 -0.840 -2.144
H 1.383 -1.668 -0.784
H 3.766 -2.230 -0.524
H 3.512 -0.993 0.693
H 4.223 -0.544 -0.724
*
```



Entry y
C5H10OS2 | ωB97M-V/def2-TZVPD

## Properties
- Highest occupied orbital energy: -9.06 eV
- Kohn-Sham gap: 9.67 eV

Structure (ORCA input):
```
! wB97M-V def2-TZVPD RIJCOSX def2/J DEFGRID3
* xyz 0 1
C 1.280 -0.643 0.508
C -0.180 -0.050 -1.358
C -0.133 -0.181 0.162
C -1.142 -1.233 0.631
C -0.440 1.164 0.821
O 0.853 2.362 -1.834
S 2.504 0.393 -0.365
S 1.234 0.969 -2.000
H 1.493 -0.546 1.570
H 1.446 -1.677 0.201
H -0.082 -1.023 -1.841
H -1.087 0.443 -1.702
H -2.152 -0.926 0.373
H -1.085 -1.352 1.710
H -0.945 -2.198 0.167
H -1.448 1.485 0.568
H 0.251 1.934 0.489
H -0.367 1.080 1.903
*
```



entry y is preferred energetically. Next in line: 0.329 eV higher.



Entry w
C11H16N3O | ωB97M-V/def2-TZVPD

## Properties
- Highest occupied orbital energy (spin up / spin down): -11.27 / -11.27 eV
- Kohn-Sham gap (spin up / spin down): 6.57 / 6.57 eV

Structure (ORCA input):
```
! wB97M-V def2-TZVPD RIJCOSX def2/J DEFGRID3
* xyz 1 1
C 0.225 0.761 1.103
C 0.681 -1.176 -1.090
C -0.797 0.049 0.545
C -2.215 0.023 0.817
C -0.569 -0.902 -0.520
C -2.763 -0.889 -0.032
C 1.561 0.568 0.683
C 1.770 -0.509 -0.615
C -2.917 0.851 1.833
C -4.168 -1.331 -0.197
C 3.428 -1.523 -1.963
N 2.566 1.137 1.228
N -1.755 -1.430 -0.831
N 2.916 3.044 0.479
O 3.033 -0.588 -0.970
H 0.054 1.466 1.902
H 0.752 -1.891 -1.898
H -2.783 1.910 1.619
H -2.518 0.657 2.828
H -3.979 0.629 1.833
H -4.224 -2.209 -0.836
H -4.771 -0.541 -0.645
H -4.607 -1.576 0.768
H 4.506 -1.421 -2.056
H 2.953 -1.298 -2.921
H 3.179 -2.542 -1.658
H 3.471 0.819 0.894
H -1.919 -2.128 -1.541
H 2.483 3.222 -0.418
H 3.913 3.214 0.446
H 2.493 3.601 1.211
*
```



Entry x
C11H16N3O | ωB97M-V/def2-TZVPD

## Properties
- Highest occupied orbital energy: -12.69 eV
- Kohn-Sham gap: 8.73 eV

Structure (ORCA input):
```
P erform three sets of 10–15 reps of this pose.
Hamstring and Calf stretch (see Fig. F):
S tand on a yoga mat in front of the product,
legs hip width apart.
L ean forward and place your hands next to the
R est your forehead on the product.
K eep your back straight, elbows outward,
### Someone pasted molecular data at this point
'''
The following is a DFT calculation (ωB97M-V/def2-TZVPD) of a 4-piece molecular cluster, H6IO3 overall.

```
10
H6IO3 | OMol25 | ωB97M-V/def2-TZVPD
I 1.32 0.01 -1.47
O -2.31 0.48 -1.34
O 0.60 -2.95 0.54
O 1.37 2.76 1.01
H -0.14 -2.69 1.09
H -2.63 -0.07 -0.63
H -1.36 0.24 -1.42
H 0.94 2.44 1.81
H 1.47 1.95 0.47
H 0.73 -2.18 -0.06
```

Summary:
* gap between HOMO and LUMO: 7.936 eV
* charge: -1
* energy above the lowest of the compared OMol25 structures with the same formula, charge and spin: 14.5 kJ/mol
* highest occupied orbital energy: -0.16327 Ha
* spin multiplicity: 1


The following is a DFT calculation (ωB97M-V/def2-TZVPD) of C25H20N7O8S2Ti as an isolated structure at a distorted geometry.

```
63
C25H20N7O8S2Ti | OMol25 | ωB97M-V/def2-TZVPD
Ti 0.19 -0.23 0.66
S -0.20 -5.27 2.02
S -1.97 -2.78 1.90
O -1.34 0.38 1.60
O -0.04 1.27 -0.55
O -2.59 6.92 -0.87
O -3.49 6.22 0.96
O 3.35 -3.80 -5.09
O 2.05 -0.46 0.00
O -0.32 -1.58 -0.55
O 5.15 -2.64 -4.90
N 0.78 -1.61 2.35
N 0.69 -2.96 2.43
N -2.76 6.06 -0.01
N 1.35 1.07 2.10
N 4.03 -2.96 -4.53
N -3.04 0.33 -1.06
N -3.17 -1.00 -1.09
C -4.23 -1.40 -1.82
C -0.47 -3.50 2.11
C -1.89 1.55 1.62
C 1.97 0.35 3.04
C -1.25 4.60 -1.26
C -4.03 0.79 -1.80
C 2.96 0.89 3.85
C 0.30 -2.17 -1.51
C -1.81 -5.91 1.55
C 3.77 -0.75 -1.56
C 1.65 -1.92 -1.85
C 1.69 2.35 1.93
C 4.29 -1.36 -2.67
C 2.47 -1.02 -1.09
C -2.08 4.79 -0.16
C 3.49 -2.28 -3.36
C 3.30 2.22 3.68
C -0.73 2.37 -0.43
C -2.28 3.81 0.79
C -1.62 2.57 0.68
C -4.82 -0.26 -2.31
C 2.66 2.96 2.71
C 2.20 -2.57 -2.97
C -0.59 3.39 -1.38
C 1.61 -1.06 3.16
H -1.13 5.38 -2.00
H 1.61 -3.27 -3.54
H -2.59 -5.35 2.05
H -1.97 -5.85 0.47
H 5.29 -1.15 -3.02
H 2.90 4.00 2.53
H 3.46 0.27 4.59
H -0.29 -2.88 -2.09
H 1.18 2.88 1.14
H -2.53 -1.56 -0.54
H -4.13 1.86 -1.94
H 4.36 -0.04 -0.99
H -2.95 3.99 1.62
H -5.69 -0.19 -2.95
H 0.06 3.19 -2.23
H 4.07 2.66 4.30
H -1.83 -6.95 1.86
H 2.09 -1.67 3.92
H -4.48 -2.44 -1.93
H -2.62 1.73 2.41
```

Summary:
* gap between HOMO and LUMO (spin up / spin down): 4.740 / 6.892 eV
* charge: -1
* energy above the lowest of the compared OMol25 structures with the same formula, charge and spin: 35.6 kJ/mol
* highest occupied orbital energy (spin up / spin down): -0.11631 / -0.19357 Ha
* spin multiplicity: 3


The following is a DFT calculation (ωB97M-V/def2-TZVPD) of a 2-piece molecular cluster, C4H11NS2 overall at a distorted geometry.

```
18
C4H11NS2 | OMol25 | ωB97M-V/def2-TZVPD
S 1.47 -0.34 0.90
S 0.69 -1.61 2.28
N -1.58 2.53 -1.89
C -0.95 1.27 -2.03
C 0.44 1.11 1.23
C 1.77 -3.11 2.08
C -1.46 0.03 -2.02
H 0.67 1.50 2.21
H 2.82 -2.77 2.20
H -0.83 -0.80 -2.34
H -2.60 2.51 -1.88
H -2.46 -0.24 -1.68
H 1.62 -3.63 1.14
H 0.13 1.41 -2.14
H -1.21 3.23 -2.54
H -0.60 0.87 1.13
H 1.44 -3.82 2.90
H 0.66 1.85 0.43
```

Summary:
* gap between HOMO and LUMO (spin up / spin down): 7.211 / 3.973 eV
* charge: +1
* energy above the lowest of the compared OMol25 structures with the same formula, charge and spin: 41.8 kJ/mol
'''
knees slightly bent.
H old this pose for a moment.
P erform three sets of 10–15 reps of this pose.